View Full Version : Gotta love the media..

10-11-08, 22:18
Hey again, I've been trying to get over my concerns and what not and decided to make a thread about this.

[Inserted here: data records]
- - -
SrLiCa2: relaxed, GGA-PBE.

Cell and atoms, written as POSCAR:
```
SrLiCa2
1.0
5.9733 0.0000 0.0000
0.0000 4.4019 0.0000
-0.0065 0.0000 6.1681
Sr Li Ca
1 1 2
direct
0.0000 0.0000 0.0000
0.5000 0.5000 0.0000
0.0000 0.5000 0.5000
0.5000 0.0000 0.5000
```

Properties
formation energy = 66 meV per atom
SG = P2/m (10)
DFT total energy = -1.8338 eV per atom
M_tot = 0.000 μB per atom

----------

# CsNaNiF6, optimized geometry, DFT PBE with a Hubbard U
data_CsNaNiF6
_chemical_formula_sum 'Cs1 Na1 Ni1 F6'
_space_group_name_H-M_alt 'P 1'
_space_group_IT_number 1
_space_group_name_Hall 'P 1'
_cell_length_a 5.660
_cell_length_b 5.660
_cell_length_c 6.134
_cell_angle_alpha 90.02
_cell_angle_beta 89.98
_cell_angle_gamma 59.95
loop_
_atom_site_label
_atom_site_fract_x
_atom_site_fract_y
_atom_site_fract_z
_atom_site_occupancy
Cs1 0.000 0.000 0.000 1
Na1 0.666 0.667 0.500 1
Ni1 0.333 0.333 0.500 1
F1 0.068 0.343 0.330 1
F2 0.342 0.068 0.670 1
F3 0.589 0.343 0.670 1
F4 0.068 0.590 0.669 1
F5 0.343 0.589 0.330 1
F6 0.590 0.068 0.331 1
# Calculated total energy, eV/atom: -3.892

----------

Entry 1:
# ZrCdFeSn | OQMD via LeMat-Bulk | PBE-GGA | optimized geometry
data_ZrCdFeSn
_chemical_formula_sum 'Zr4 Cd4 Fe4 Sn4'
_cell_length_a 6.7349
_cell_length_b 6.7349
_cell_length_c 6.7349
_cell_angle_alpha 90.00
_cell_angle_beta 90.00
_cell_angle_gamma 90.00
_symmetry_space_group_name_H-M 'F -4 3 m'
_symmetry_Int_Tables_number 216
_symmetry_space_group_name_Hall 'F -4 2 3'
loop_
_atom_site_label
_atom_site_fract_x
_atom_site_fract_y
_atom_site_fract_z
Zr1 0.0000 0.0000 0.0000
Cd1 0.2500 0.2500 0.7500
Fe1 0.0000 0.0000 0.5000
Sn1 0.2500 0.2500 0.2500
# total moment	7.99	μB per cell
# ρ	8.223	Mg/m³
# energy relative to the lowest polymorph listed for this composition	11.6	meV/atom

---

Entry 2:
# SrCd2Fe | OQMD via LeMat-Bulk | PBE-GGA | optimized geometry
data_SrCd2Fe
_chemical_formula_sum 'Sr4 Cd8 Fe4'
_cell_length_a 7.2019
_cell_length_b 7.2019
_cell_length_c 7.2019
_cell_angle_alpha 90.00
_cell_angle_beta 90.00
_cell_angle_gamma 90.00
_symmetry_space_group_name_H-M 'F -4 3 m'
_symmetry_Int_Tables_number 216
_symmetry_space_group_name_Hall 'F -4 2 3'
loop_
_atom_site_label
_atom_site_fract_x
_atom_site_fract_y
_atom_site_fract_z
Sr1 0.0000 0.0000 0.0000
Cd1 0.0000 0.0000 0.5000
Cd2 0.2500 0.2500 0.7500
Fe1 0.2500 0.2500 0.2500
# total moment	11.75	μB per cell
# energy	-2.62	eV per atom
# ρ	6.549	Mg/m³

---

Entry 3:
# TbCdFe | OQMD via LeMat-Bulk | PBE-GGA | optimized geometry
data_TbCdFe
_chemical_formula_sum 'Tb4 Cd4 Fe4'
_cell_length_a 6.4900
_cell_length_b 6.4900
_cell_length_c 6.4900
_cell_angle_alpha 90.00
_cell_angle_beta 90.00
_cell_angle_gamma 90.00
_symmetry_space_group_name_H-M 'F -4 3 m'
_symmetry_Int_Tables_number 216
_symmetry_space_group_name_Hall 'F -4 2 3'
loop_
_atom_site_label
_atom_site_fract_x
_atom_site_fract_y
_atom_site_fract_z
Tb1 0.0000 0.0000 0.0000
Cd1 0.0000 0.0000 0.5000
Fe1 0.2500 0.2500 0.7500
# total moment	6.66	μB per cell
- - -
[The data records stop here]

My fear was/is that I for some reason have a brain tumor, although I am trying to work past this fear. The past couple days I've been really paying attention to the radio, TV, and my surroundings. I see cancer stuff EVERYWHERE. Just yesterday my Father and I were at the store and saw an Ad about Breast cancer which basically said "1 in 4 women will develop breast cancer!". We hear about "cancer" everyday and for some of us we don't want to hear about it constantly. Heck, 3 of my grandparents have/had cancer. In addition, a close friend of mine when we were children died of Leukemia, and I know of 4 people (ironically who I know in some cases quite well) over the past few years who have gotten brain cancer. On the radio they had an ad that went something like this "Keep your kids healthy (not over weight) and get them to excercize or in the future they will have heart problems and/or get cancer". lol, I am 15 pounds overweight and haven't been excercizing much in the past couple years, guess I am screwed. :shrug:

Calculated crystals, kept here for reference:
/*
Entry from the Alexandria database: an optimized crystal structure of Li2NpAgBr8 (PBE).

Cell lengths 8.8682, 8.8682, 9.2988 Å; angles 90.00, 90.00, 90.00 degrees
Space group I-4m2 (No. 119)
One atom of each set of equivalent atoms:
Li  0.0000  0.0000  0.0000 (multiplicity 2)
Li  0.0000  0.5000  0.2500 (multiplicity 2)
Np  0.0000  0.5000  0.7500 (multiplicity 2)
Ag  0.0000  0.0000  0.5000 (multiplicity 2)
Br  0.0000  0.1987  0.8152 (multiplicity 8)
Br  0.0000  0.3121  0.4667 (multiplicity 8)

Results
Formation energy without anion corrections in kcal/mol of atoms: -22.6
Volume in Å³/atom: 30.5
Raw total energy in eV/atom: -3.730

----------

1.
# KSb2Au

An optimized crystal structure of KSb2Au (PBE, the Alexandria database).

The theoretical density comes out at 7.48 g/cm3. The space group is Cmmm. For the electronic total energy, the calculation gives -12.51 eV for the cell shown. The formation energy (no corrections) is 0.11 eV per formula unit. The spin magnetization is 0.00 μB per formula unit. Its density of states at the Fermi level is 1.47 states/eV per cell.

a = 6.182 Å, b = 6.182 Å, c = 3.058 Å
α = 89.96°, β = 89.96°, γ = 114.36°
Fractional positions:
1 Au 0.500 0.000 0.500
2 K 0.000 0.500 0.500
3 Sb 0.000 0.000 0.000
4 Sb 0.500 0.500 0.000

2.
# KSb4Au

An optimized crystal structure of KSb4Au (PBE, the Alexandria database).

The theoretical density comes out at 5.96 g/cm3. The space group is I4_1/a. For the electronic total energy, the calculation gives -42.65 eV for the cell shown. The formation energy (no corrections) is -0.46 eV per formula unit. The spin magnetization is 0.00 μB per formula unit. Its density of states at the Fermi level is 5.71 states/eV per cell.

a = 5.977 Å, b = 5.977 Å, c = 12.039 Å
α = 104.37°, β = 104.37°, γ = 90.00°
Fractional positions:
1 K 0.875 0.625 0.250
2 K 0.125 0.375 0.750
3 Sb 0.286 0.768 0.042
4 Sb 0.255 0.274 0.042
5 Sb 0.774 0.786 0.542
6 Sb 0.268 0.755 0.542
7 Sb 0.714 0.232 0.958
8 Sb 0.745 0.726 0.958
9 Sb 0.226 0.214 0.458
10 Sb 0.732 0.245 0.458
11 Au 0.375 0.125 0.250
12 Au 0.625 0.875 0.750

3.
# KSb3Au3

An optimized crystal structure of KSb3Au3 (PBE, the Alexandria database).

The theoretical density comes out at 7.33 g/cm3. The space group is Pm-3n. For the electronic total energy, the calculation gives -48.84 eV for the cell shown. The formation energy (no corrections) is -1.13 eV per formula unit. The spin magnetization is 0.00 μB per formula unit. Its density of states at the Fermi level is 8.42 states/eV per cell.

a = 7.667 Å, b = 7.667 Å, c = 7.667 Å
α = 90.00°, β = 90.00°, γ = 90.00°
Fractional positions:
1 Sb 0.000 0.250 0.500
2 Sb 0.000 0.750 0.500
3 Sb 0.500 0.000 0.750
4 Sb 0.750 0.500 0.000
5 Sb 0.500 0.000 0.250
6 Sb 0.250 0.500 0.000
7 K 0.500 0.500 0.500
8 K 0.000 0.000 0.000
9 Au 0.250 0.000 0.500
10 Au 0.000 0.500 0.250
11 Au 0.500 0.750 0.000
12 Au 0.750 0.000 0.500
13 Au 0.000 0.500 0.750
14 Au 0.500 0.250 0.000
*/
So much for the calculated crystals:

They do this for all types of diseases, not just cancer. HIV/AIDS is another big one. It reminds me of the "Bird Flu scare". Everyone avoided birds out of fear, because a break out of this disease "could wipe out most of the world's population"...and now we don't hear about it anymore.

I definitely believe early detection is a good thing and saves lives, but at the same time..sometimes I really think they go overboard with it.

Reading the nomorepanic thing on Health Anxiety was very interesting and so true.

Anyone else noticing this a lot?

11-11-08, 13:40
Hi Twilight Flower
I agree with you 100%!
I would say Ive started thinking alot and worrying alot since alot of stuff has been bought to public knowledge by the media. Its in our faces EVERY day. Everywhere you turn there is a poster giving statistics on cancer, loads of adverts on the radio, loads of adverts on the Tele inadvertantly makes you aware of your heart....eat this margarine, it will keep your heart healthy and so on.....
Its so depressing. I'd love to just be able to enjoy my life without worrying Im gonna die all the time!

11-11-08, 15:09
Trouble with the media is ordinary stories don't sell, the headline 'bird flu is not realistically a risk to anyone', sounds pathetic compared to 'BIRD FLU:THE END FOR ALL OF US!?'

I have given up reading newspapers for the most part, and I don't have a TV so luckily don't get bombarded with adverts telling me I am going to have a heart attack unless I start getting plant micro-fibres, happy bacteria or whatever the latest heath craze is!

All I can say hun is don't worry, whatever happens, happens, sod it. Most scientific studies that are reported (esp the cancer ones related to food etc) have results that are so vague they are not even worth mentioning!

Take it easy
Cat xx.

11-11-08, 15:15
It's rediculous. I also don't want many TV shows because of this like ER, Greys Anatomy, House etc. I used to watch Oprah but now I realllly have to try to avoid health related Oprah episodes when she brings in that GP dude. Also I avoid the health section of every newscast.

I'm also a bit overweight and don't exercise much. I plan on doing that...but I agree with your post.

11-11-08, 15:29
Ha ha, Cat, spot on with the happy bacteria.:roflmao:

According to Wikipedia, and I totally agree with this:

"The media and the Internet often contribute to hypochondria, as articles, TV shows and advertisements regarding serious illnesses such as cancer and multiple sclerosis (some of the common diseases hypochondriacs think they have) often portray these diseases as being random, obscure and somewhat inevitable."

11-11-08, 17:14
Hi Twilight Flower,

I am the same when it comes to the media. If I hear about cancer or HIV etc I start to worry about it. It seems these days you can't do anything because of the risks of getting something terrible.

There is a risk with everything we do or don't do so the only way to look at this is that most people live long full lives. There are too many great things to experience out there other than pondering things that could happen because most of them won't.

I don't know about you but I am fed up with worrying about every possible illness I could get instead I am going to worry about what I am going to do next to make happy (at the moment I am thinking about the nice cake I have in the fridge and how much I am going to enjoy eating it ha ha).

Lets switch of the tv and radio and live a little instead. Who's with me?


11-11-08, 20:37
"Lets switch of the tv and radio and live a little instead. Who's with me?"

-- begin --
(1)
The following is a DFT calculation (PBE) of Nd4PRhI2 after structural relaxation.

Computed properties:
Its energy is -5.452 eV/atom. Its crystal system is monoclinic. The calculation puts the density of states at the Fermi level at 0.716 states/eV per atom. The calculation puts the density at 6.5 Mg/m³.

a = 7.6115 Å, b = 4.1284 Å, c = 8.1430 Å
α = 90.00°, β = 106.36°, γ = 90.00°
Space group P2/m (No. 10)
Symmetry-distinct sites (fractional):
Nd 0.2184 0.0000 0.1856
Nd 0.2697 0.5000 0.8101
P 0.5000 0.0000 0.0000
Rh 0.0000 0.5000 0.0000
I 0.0000 0.0000 0.5000
I 0.5000 0.5000 0.5000

---

(2)
The following is a DFT calculation (PBE) of ScVP2 after structural relaxation.

Computed properties:
The calculation puts the energy relative to the elements at -0.591 eV per atom. Its energy is -7.159 eV/atom. Its crystal system is cubic. The calculation puts the density of states at the Fermi level at 0.660 states/eV per atom. The calculation puts the density at 4.3 Mg/m³.

a = 6.2494 Å, b = 6.2494 Å, c = 6.2494 Å
α = 90.00°, β = 90.00°, γ = 90.00°
Space group Fm-3m (No. 225)
Symmetry-distinct sites (fractional):
Sc 0.0000 0.0000 0.0000
V 0.0000 0.0000 0.5000
P 0.2500 0.2500 0.2500

---

(3)
The following is a DFT calculation (PBE) of NpP2Os after structural relaxation.

Computed properties:
The calculation puts the energy relative to the elements at -0.367 eV per atom. Its energy is -9.114 eV/atom. Its crystal system is trigonal. The calculation puts the density of states at the Fermi level at 1.709 states/eV per atom. The calculation puts the density at 11.6 Mg/m³.

a = 3.6960 Å, b = 3.6960 Å, c = 17.8095 Å
α = 90.00°, β = 90.00°, γ = 120.00°
Space group R3m (No. 160, hexagonal axes)
Symmetry-distinct sites (fractional):
Np 0.0000 0.0000 0.0000
P 0.0000 0.0000 0.4331
P 0.0000 0.0000 0.5693
Os 0.0000 0.0000 0.1794

---

(4)
The following is a DFT calculation (PBE) of NaCd6Au after structural relaxation.

Computed properties:
The calculation puts the energy relative to the elements at -0.081 eV per atom. Its energy is -1.342 eV/atom. Its crystal system is orthorhombic. The calculation puts the density of states at the Fermi level at 0.323 states/eV per atom. The calculation puts the density at 8.4 Mg/m³.

a = 4.7308 Å, b = 7.3928 Å, c = 10.1429 Å
α = 90.00°, β = 90.00°, γ = 90.00°
Space group Amm2 (No. 38)
Symmetry-distinct sites (fractional):
Na 0.0000 0.0000 0.0000
Cd 0.0000 0.2135 0.2806
Cd 0.5000 0.0000 0.1973
Cd 0.5000 0.0000 0.7584
Cd 0.5000 0.2069 0.4815
Au 0.0000 0.0000 0.5721

---

(5)
The following is a DFT calculation (PBE) of LiZnSb2 after structural relaxation.

Computed properties:
Its energy is -2.969 eV/atom. Its crystal system is trigonal. The calculation puts the density of states at the Fermi level at 0.296 states/eV per atom. The calculation puts the density at 5.9 Mg/m³.

a = 3.4867 Å, b = 3.4867 Å, c = 25.3349 Å
α = 90.00°, β = 90.00°, γ = 120.00°
Space group R-3m (No. 166, hexagonal axes)
Symmetry-distinct sites (fractional):
-- stop --

Im with you there! Im going to try to have a different outlook. I already feel better from just realising that Im not alone in this. It brings great comfort to know your not the only one out there with these thoughts and feelings!

This is my first day on this website, and day 1 of trying to live my life to the full rather than being unhappy.

Its inevitable we will all die, but why wait around worrying when and how it's going to happen?
